Who Built India’s First Empire?
India’s first empire was founded by Chandragupta Maurya (CHUHN • druh • GUP • tuh
MAH• oor • yuh). Chandragupta was an Indian prince who conquered a large area in the Ganges River valley soon after Alexander invaded western India. Alexander’s invasion weakened many of India’s kingdoms. After Alexander left, Chandragupta seized the opportunity to conquer and unite almost all of northern India.
He founded the Mauryan dynasty in 321 B.C. A dynasty (DY • nuh • stee) is a series of
rulers from the same family. To run his empire, Chandragupta set up a centralized government.
Inserted here: crystal structures:
********
Record 1
Sr2InGa PBE optimized geometry; ΔE_f = -0.404 eV/atom
1.0
6.696 0.000 0.000
0.000 4.846 0.000
-2.840 0.000 8.243
Sr In Ga
4 2 2
Cartesian
0.137 1.211 3.556
-1.193 1.211 7.612
5.050 3.634 0.631
3.720 3.634 4.687
1.794 3.634 1.809
2.063 1.211 6.434
0.405 3.634 5.866
3.451 1.211 2.377

Record 2
SrTbInGa PBE optimized geometry; ΔE_f = -0.373 eV/atom
1.0
0.000 3.831 3.831
3.831 0.000 3.831
3.831 3.831 0.000
Sr Tb In Ga
1 1 1 1
Cartesian
0.000 0.000 0.000
3.831 3.831 3.831
5.747 5.747 5.747
1.916 1.916 1.916

Record 3
SrIn2GaTc PBE optimized geometry; ΔE_f = -0.163 eV/atom
1.0
5.211 0.000 0.000
0.000 5.211 0.000
0.000 0.000 4.927
Sr In Ga Tc
1 2 1 1
Cartesian
0.000 0.000 0.000
0.000 2.605 2.464
2.605 0.000 2.464
2.605 2.605 0.000
2.605 2.605 2.464

* * * * *

Computed, not measured: an optimized crystal structure of Sm4Cu2Rh at the GGA-PBE level of DFT.

Unit cell a=8.596 b=8.596 c=8.596 alpha=33.66 beta=33.66 gamma=33.66
Sites, in units of the cell vectors:
Sm: 0.123 0.123 0.123
Sm: 0.374 0.374 0.374
Sm: 0.626 0.626 0.626
Sm: 0.877 0.877 0.877
Cu: 0.247 0.247 0.247
Cu: 0.753 0.753 0.753
Rh: 0.000 0.000 0.000

Summary:
The energy relative to the elements comes out at -5.5 kcal/mol of atoms.

***

Computed, not measured: an optimized crystal structure of SmCuRh2 at the GGA-PBE level of DFT.

Unit cell a=4.580 b=4.580 c=4.580 alpha=60.00 beta=60.00 gamma=60.00
Sites, in units of the cell vectors:
Sm: 0.000 0.000 0.000
Cu: 0.500 0.500 0.500
Rh: 0.250 0.250 0.250
Rh: 0.750 0.750 0.750

Summary:
The energy above the most stable polymorph in this dataset comes out at 0.0556 eV/atom. The energy relative to the elements comes out at -7.1 kcal/mol of atoms.

***

Computed, not measured: an optimized crystal structure of Sm2Cu2Rh at the GGA-PBE level of DFT.

Unit cell a=7.134 b=7.134 c=7.976 alpha=90.00 beta=90.00 gamma=90.00
Sites, in units of the cell vectors:
Sm: 0.180 0.312 0.000
Sm: 0.188 0.320 0.500
Sm: 0.312 0.820 0.000
Sm: 0.320 0.812 0.500
Sm: 0.680 0.188 0.500
Sm: 0.688 0.180 0.000
Sm: 0.812 0.680 0.500
Sm: 0.820 0.688 0.000
Cu: 0.120 0.620 0.250
Cu: 0.120 0.620 0.750
Cu: 0.380 0.120 0.250
Cu: 0.380 0.120 0.750
Cu: 0.620 0.880 0.250
Cu: 0.620 0.880 0.750
Cu: 0.880 0.380 0.250
Cu: 0.880 0.380 0.750
Rh: 0.000 0.000 0.218
Rh: 0.000 0.000 0.782
Rh: 0.500 0.500 0.282
Rh: 0.500 0.500 0.718

Summary:
The energy above the most stable polymorph in this dataset comes out at 0.1071 eV/atom. The energy relative to the elements comes out at -6.6 kcal/mol of atoms.

***

Computed, not measured: an optimized crystal structure of Sm4Cu3Rh at the GGA-PBE level of DFT.

Unit cell a=3.850 b=4.478 c=10.623 alpha=90.00 beta=90.00 gamma=90.00
Sites, in units of the cell vectors:
Sm: 0.000 0.000 0.000
Sm: 0.000 0.500 0.271
Sm: 0.500 0.000 0.488
Sm: 0.500 0.500 0.775
Cu: 0.000 0.000 0.701
Cu: 0.000 0.500 0.565
Cu: 0.500 0.500 0.060
Rh: 0.500 0.000 0.215

Summary:
The energy relative to the elements comes out at -8.4 kcal/mol of atoms.

***
********
In a centralized government, rulers run everything from a capital city. To maintain control from his capital of Pataliputra (PAH • tuh • lih •POO• truh), Chandragupta had to have a strong army. He also needed a good spy system to make sure no one was planning to rebel. Communications
were also important, so he set up a postal system.
Emperor Asoka’s Reign
Chandragupta founded the Mauryan dynasty, but many historians think the empire’s greatest king was Asoka (uh • SOH • kuh). Asoka ruled from about 273 B.C. to 232 B.C. Asoka was an unusual ruler. Like many kings, he was a strong military leader, but he came to hate bloodshed. After one bloody fight, he walked over the battlefield. When he saw the dead and wounded, he was horrified. He later made a vow to dedicate his life to peace and follow the teachings of the Buddha.
Asoka focused on the welfare of others. He created hospitals for people and for animals, too. He built new roads so it was easier to trade and put shelters and shade trees along the roads where travelers could rest. Asoka sent many Buddhist teachers throughout India and the rest of Asia. They carried the religion to new believers. In India, laborers carved the Buddha’s teachings on stone pillars for people to read. Asoka also had laborers build thousands of stupas (STOO• puhs). Stupas are Buddhist shrines that have the shape of a dome or mound. Although he was a Buddhist, Asoka allowed his Hindu subjects to practice their religion. His tolerance was unusual for the time. With a good road system and a strong ruler, the empire prospered. India became
the center of a huge trade network that stretched to the Mediterranean Sea.
The Fall of the Mauryan Empire
Asoka died in 232 B.C. Unfortunately, the kings who followed him were not very good leaders, and the empire grew weak. These kings made bad decisions that turned the people against them. They forced merchants to pay heavy taxes and seized peasants’ crops for themselves. Things were so bad that in 183 B.C., the last Mauryan ruler was killed by one of his own generals